Chelle175 Member


  • Heart Healthy Pancakes 1/2 cup Heart Healthy Bisquick 2 Large Egg whites 1/2 individual container of Mott's Natural Applesauce Mix together and make pancakes. You can even mix it up in the evening and store in the fridge for the morning. I also add a little vanilla extract sometimes for a little flavor. It's entered into…
  • I had the same problem. I went from a size 18-20 to a size 8 and being a working civil servant in a mostly rural area, there was NO WAY I could afford to have a whole new wardrobe every step of the way. So here's what I did, consignment shopping. I have a great local Consignment Shop that sells really good quality clothes,…
  • I love a rowing machine. For me its a full body workout - upper and lower.
  • First, I try to build in enough snacks so that I don't count down the minutes to my next meal. Then, if I think I'm going to snack for purely emotional reasons, I try to get up and do something else....mostly small cleaning projects - loading the dishwasher, wiping down counters, straightening up pillows on the couch.…
  • How I combat the "fast food cravings" may not be something that everyone can do. I cook my own. My husband LOVES Mexican, Chinese and Pizza, and if we could, he'd probably eat out at these restaurants every week. So I satisfy those cravings by cooking those cuisines at home. I scour recipe websites like,…
  • This is one of my cooking involved, healthy and delish........ Crab, Corn, and Tomato Salad with Lemon-Basil Dressing You can get the recipe from Cooking
  • If you can, get yourself a one-piece bathing suit, find an indoor pool open year round and swim your butt off. If you work up a sweat, no one will know. If you're truly uncomfortable with how you look, the water hides a lot. And it's a great whole-body workout. The most important thing to do is not give up.
  • If you start thinking about how you're going to do this "for the rest of your life", it gets a little daunting. So don't. Take this journey the same way we do every step, one day, one change, and one lb at a time. Habits take time to develop, but once you start developing them, it becomes 2nd nature...much…
  • If you use this app the way its intended, it can be very helpful. I joined just last year. At that time, I weighed 240 lbs. A year later, 165 lbs. I'm lousy with diets, but I'm great with budgets. This program allowed me to look at my weight loss plan in such a way that it played to my strengths. Good luck on your journey!
  • Try not to get discouraged. I work in an environment that predominantly male and what one of them told me was he didn't know how to compliment me on my weight loss without it sounding like he was hitting on me (and I'm VERY married). First and foremost, YOU know you've lost the weight, and NO ONE can take that away from…
  • I don't use photos per se...but when I need inspiration, I watch Dallas Cowboys Cheerleaders: Making the Team on The dedication and effort that every single young lady puts into making and being on that squad is inspirational to me. They have the look I would want. Don't know if I'll ever get there, but they…
  • I completely understand. I once had a doctor tell me that I should weigh 150lbs. This was when I was over 240 lbs. I thought, NOT POSSIBLE. I did a little research and it turns out the upper limit of where I should be is 175 lbs. Again I thought, NOT POSSIBLE. I've been overweight my entire life. I'm at 178 lbs. Almost…
  • Check out and of good ideas for main courses and sides.
  • 2 cups of coffee with 1% milk..instant oatmeal (so I don't have to think) with 1/4 cup of either raisins or dried blueberries...fills me up
  • Cheapest and best one I know...a pedometer. It's a free app for most cell phones.
  • Here's a thought that I don't think has been suggested by others (which I agree with for the most part). Take your Mom out clothes shopping. Parents want to see their children happy. Show her in a tangible sense how happy you are that you can now fit into smaller clothes. Even if you don't buy anything (a good afternoon of…
  • They can be pricey, but quality is worth it. Check out Soma Intimates... they have sizes all the way up to "G" and better yet, they're beautiful too!!
  • One of the best and easiest is Roasted Vegetables over Rice. Just oven roast your favorite vegetables in the oven and serve over rice. With the leftover veggies you can make Roasted Vegetable Soup.
  • Maybe this will help. The exercise that you get at the gym is not the only source of calories that you burn during a day. Your body has to have a certain amount of calories to simply exist - breathing, moving, breaking down food - all of the body's internal processess take energy. If you consume fewer calories that what…
  • Eating healthy on a daily basis takes a little work, but not that much. No lifestyle change will work if you can't live in it, so be fair to yourself. 1st - Next time you're in a grocery store, stop in the produce department and really look around. You might not know the difference between a poblano or jalapeno...or maybe…
  • Welcome. This site has quite literally changed the lives of so many. I wish you well. I saw in one of your posts that you were thinking about getting a tread mill. Not a bad idea, but before you invest the money, start walking. What you don't want to have happen is spending money on something you can't incorporate into…
  • I find a really good recipe like a chinese chicken salad or quinoa salad....make it once, portion it out and eat it all week. If you want something hot, try veggie or maybe chicken and veggie quesadillas...easy and great tasting.
  • Definitely check into the plantar fascitis. Get with an orthopedist. You may need to have special inserts in your shoes.
  • Stairs...everywhere you go. Take the stairs.. Don't step on an elevator. Believe me, it will tone you up
  • I don't know if it's a mini didn't feel like it to me; but being the lowest weight I have ever been in my entire adult life was a day of celebration for me. Not done yet.....but every time I get down I remember that
Inserted here: quantum chemistry results >
Formula: C44H68N2O2ReS3Sb2
Source: OMol25
Level of theory: ωB97M-V with the def2-TZVPD basis set

The geometry in XYZ format:
```
122
Properties=species:S:1:pos:R:3:forces:R:3
Re 0.6947 -0.2125 -0.4140 -0.483 0.184 0.957
S 1.0991 -0.3147 4.4331 -0.302 -0.071 -0.284
Sb -0.6725 -0.1999 3.0958 0.351 -0.019 0.207
S 0.2768 1.6301 1.3156 0.361 0.058 0.244
S -0.2321 -1.6951 1.0652 0.369 0.260 -0.557
C 3.1500 -2.9394 2.6949 -0.021 0.054 0.018
C 3.9998 -2.2036 1.6490 -0.258 0.014 0.027
C 3.6738 -2.8124 0.2877 0.106 0.133 0.003
C 3.9391 -0.6721 1.8495 -0.027 -0.089 -0.168
C 4.5507 -0.2576 3.0357 0.051 -0.076 0.011
C 4.7000 1.0677 3.3709 0.063 0.083 0.058
C 4.2954 2.0442 2.4769 -0.033 0.018 0.056
C 3.6867 1.7041 1.2800 -0.128 -0.116 -0.171
C 3.4454 2.7974 0.2547 0.140 0.115 0.081
C 2.9382 4.1158 0.8500 0.062 -0.059 -0.016
C 4.7518 3.0632 -0.5116 -0.069 -0.034 -0.059
C 3.4497 0.3397 1.0022 0.188 -0.197 0.215
N 2.7560 -0.0266 -0.2375 -0.011 0.459 0.129
C 3.5284 -0.2423 -1.2531 0.137 -0.015 0.037
C 3.2035 -0.7767 -2.5348 -0.135 0.054 -0.141
C 4.2776 -0.8040 -3.4558 0.095 0.070 0.104
C 4.1637 -1.3710 -4.6927 0.047 -0.029 -0.131
C 2.9460 -1.9727 -5.0367 0.030 0.013 0.047
C 1.8873 -1.9836 -4.1621 -0.007 -0.058 0.001
C 1.9594 -1.3709 -2.8881 -0.089 0.007 0.027
N 0.8704 -1.3657 -2.0437 -0.244 -0.299 -0.176
C -0.3025 -2.1077 -2.4883 0.125 -0.251 -0.122
C -1.1591 -1.5410 -3.4502 0.101 0.051 0.142
C -2.2786 -2.2592 -3.8538 -0.129 -0.034 -0.019
C -2.5468 -3.5158 -3.3402 -0.114 -0.030 -0.070
C -1.6595 -4.0942 -2.4500 -0.072 -0.042 0.055
C -0.5177 -3.4223 -2.0269 0.112 0.148 0.045
C 0.4990 -4.1647 -1.1791 -0.089 -0.187 -0.116
C -0.1313 -5.0580 -0.1072 0.017 0.052 -0.047
C 1.4028 -5.0187 -2.0829 0.016 0.079 0.055
C -0.8663 -0.2146 -4.1288 -0.193 -0.022 -0.121
C -1.8971 0.8523 -3.7506 0.012 -0.013 -0.031
C -0.8075 -0.3670 -5.6547 0.012 -0.007 0.016
H 3.3790 -4.0088 2.6711 -0.009 0.079 -0.008
H 2.0883 -2.8114 2.4747 0.003 0.012 0.036
H 3.3245 -2.5726 3.7047 -0.029 0.002 0.004
H 5.0458 -2.4491 1.8505 0.042 0.025 0.047
H 4.3457 -2.4809 -0.5055 -0.012 0.003 -0.014
H 2.6476 -2.5962 0.0019 0.012 0.005 -0.061
H 3.7715 -3.8979 0.3602 0.016 0.042 0.000
H 4.9404 -1.0174 3.7041 -0.040 0.023 -0.028
H 5.1724 1.3434 4.3069 -0.037 -0.020 -0.065
H 4.4760 3.0887 2.7039 -0.019 -0.078 -0.013
H 2.7086 2.4503 -0.4576 -0.231 -0.097 -0.129
H 3.7315 4.6413 1.3885 -0.069 -0.027 -0.042
H 2.1086 3.9606 1.5375 -0.041 -0.018 0.017
H 2.5985 4.7748 0.0472 0.039 -0.013 0.045
H 5.5273 3.4125 0.1748 -0.030 -0.031 -0.044
H 4.6007 3.8319 -1.2750 0.019 -0.050 0.045
H 5.1255 2.1607 -1.0038 0.004 0.074 0.024
H 4.5878 -0.0456 -1.0954 -0.001 -0.025 0.028
H 5.2236 -0.3642 -3.1505 -0.103 -0.028 -0.011
H 4.9998 -1.3744 -5.3804 -0.066 -0.002 0.043
H 2.8385 -2.4451 -6.0067 -0.027 0.004 0.062
H 0.9669 -2.4725 -4.4466 0.067 -0.021 -0.007
H -2.9417 -1.8411 -4.6052 0.050 0.009 0.081
H -3.4285 -4.0605 -3.6658 0.106 0.050 0.030
H -1.8455 -5.1018 -2.0923 0.022 0.105 -0.037
H 1.1229 -3.4306 -0.6846 0.004 0.075 0.083
  • You didn't mention oils...but if you're allowed, you've got the makings for some really great stir-frys....and don't forget currys either
  • I completely understand your position, having been overweight most of my life. But something I am coming to learn in my later years :-) PROUD OF YOURSELF. You've survived cancer and you're still here. There are a lot of people who can't say that. Do you want to be a better person? YES! That's why you're doing what…
  • I haven't been using MFP very long, only since May; but I whole heartedly agree with its usefulness. I don't think I've ever been as conscious of what I eat and drink as I am now. Somehow knowing that I have to write it down really works. Knowing that my friends, and my husband, will see it!!! even more incentive. The…
  • Pre: light snack in order to boost energy levels Post: Lots of water to prevent dehydration
  • For vegetarian meat substitute, I find one of the best is portobello mushrooms. I use them in a bolognese sauce with creminis, white button, and even a few other wild mushrooms. The original recipe called to add pork, but quite frankly the mushrooms are sooooo good on their own, I've taken it out. Portobellos can also be…